File
+++
Compound: SrCd2ClF
Source: the Alexandria database
Functional: GGA-PBE
Structure: optimized geometry

* V: 247.4 Å³/cell
* uncorrected formation energy: -0.6864 eV per atom
* magnetic moment: 0.014 μB per atom

abc: 6.7684 6.7684 5.4011
angles: 90.00 90.00 90.00
Space group P4/mmm (No. 123)
One atom of each set of equivalent atoms:
Sr 0.0000 0.0000 0.0000
Cd 0.0000 0.5000 0.0000
Cl 0.0000 0.0000 0.5000
F 0.5000 0.5000 0.5000

=====

Compound: La3CoCl
Source: the Alexandria database
Functional: GGA-PBE
Structure: optimized geometry

* V: 159.6 Å³/cell
* excess energy over the best structure of this formula in the dataset: 354 meV/atom
* uncorrected formation energy: -0.2949 eV per atom
* magnetic moment: 0.000 μB per atom

abc: 5.4240 5.4240 5.4240
angles: 90.00 90.00 90.00
Space group Pm-3m (No. 221)
One atom of each set of equivalent atoms:
La 0.0000 0.0000 0.5000
Co 0.0000 0.0000 0.0000
Cl 0.5000 0.5000 0.5000

=====

Compound: DyAg3Pd6
Source: the Alexandria database
Functional: GGA-PBE
Structure: optimized geometry

* V: 342.5 Å³/cell
+++

What to do
Your job: count the lines above that contain the word "magnetic" and give the number alone.

Written answer
2